Matt Simon has the story at the Concord Patch about how the supposedly medical cannabis-friendly governor Maggie Hassan demanded the medical bill be gutted. He discusses the awful provisions in the bill and then what happens next as it goes back to the house:
As the “therapeutic use of cannabis” bill (a.k.a. the medical marijuana bill) heads back to the House of Representatives after being gutted by the Senate, many state representatives, patients, and medical professionals have been contacting me, all asking the same question: “What the heck happened?!?!”
First, here’s a quick refresher on HB 573’s path through the House:
The House approved HB 573 in an overwhelming 286-64 vote March 20, sending forward a bill that would have created a responsible, well-crafted policy. Prior to that vote, the House Health, Human Services, and Elderly Affairs Committee had dutifully listened to hours of public testimony, considered the arguments presented by all sides, and worked hard to improve a bill that would have served patients’ needs and granted them immediate legal protections. The committee voted 14-1 in favor of its final product, and over 80% of representatives supported the bill on the floor.
The House-approved version of HB 573 included the following features:
Qualifying patients would have been legally authorized to cultivate up to three mature plants in an enclosed, locked facility registered with the Department of Health and Human Services (DHHS), or they could have selected a designated caregiver to do so on their behalf. (Home cultivation is a legal option for all qualifying patients in 14 states, including Maine and Vermont. Cultivation is also legal in Massachusetts for qualifying patients if they do not have access through a dispensary.)
Qualifying patients would have been protected by an affirmative defense provision as soon as the law passed. They could still be arrested, but they would be able to avoid a criminal conviction by presenting a doctor’s recommendation in court. Once the health department started issuing patients ID cards, patients would need an ID card to be protected from a conviction.
Following an 18-month rulemaking and selection process, five alternative treatment centers (ATCs) would have been authorized to grow and sell cannabis and related products to qualifying patients.
A similar bill, minus the five ATCs, had passed the House and Senate in 2012 with majority support in both parties and both chambers of the legislature. With a new and seemingly supportive governor in the corner office, patients were optimistic after the House vote that 2013 would be the year they finally received legal protections from the state.
Unfortunately, before the Senate Health, Education, and Human Services Committee could consider the bill on its merits, Gov. Maggie Hassan insisted on several changes. Supportive senators did not wish to see the bill get vetoed, so they had little choice but to accept the governor’s changes.
Gov. Hassan’s amendments were adopted by the committee in a 5-0 vote, with little discussion or debate, and the amended bill passed the Senate in an 18-6 vote May 23.
Here is a list of the changes made by the Senate, at Gov. Hassan’s request:
Home cultivation was removed from the bill. Cultivation of even a single plant would remain a felony, with no exceptions.
The number of alternative treatment centers was reduced from five to four. This further decreases the likelihood that patients will live near an alternative treatment center — their only legal source if home cultivation is not allowed.
The affirmative defense provisions were gutted so that the defense would only apply to patients with registry identification cards. Yet, it could take up to 19 months for the first ID cards to be issued. This means patients who are suffering today may not receive any legal protection whatsoever until late 2014 or early 2015. The affirmative defense provisions passed by the House would have protected qualifying patients from receiving a criminal conviction if they were prosecuted while waiting for the health department to get the program up and running.
Language was added requiring patients to have written permission of a property owner, or tenant of leased property, before they may use cannabis on the premises. It is reasonable to require permission, but requiring written permission is onerous and unnecessary.
Language was added that would prohibit patients from possessing cannabis within a “drug free zone” (such as within 1,000 feet of a school). This would mean a patient living within about three blocks of a school would not be legally allowed to possess or use cannabis,even in the privacy of his or her own home and even if the cannabis is not smoked. It would also mean any patient or caregiver transporting cannabis within two or three blocks of a school would be violating the law.
(Molecular data, as found in the file)
/*
9
Properties=species:S:1:pos:R:3 method="wB97M-V/def2-TZVPD" charge=0 e_homo_ev="-8.74 / -9.85" spin_multiplicity=1 orbital_gap_ev="8.540 / 8.605"
C -2.294 -1.040 -0.802
C -1.936 0.092 -0.547
N 0.876 0.485 0.184
O 2.116 0.954 0.701
O -1.853 2.380 -1.714
S -1.619 1.767 -0.402
H -2.758 -2.027 -1.108
H 2.162 0.484 1.594
H 1.079 0.498 -0.800

=====

9
Properties=species:S:1:pos:R:3 method="wB97M-V/def2-TZVPD" charge=0 e_homo_ev="-8.00 / -9.13" spin_multiplicity=3 orbital_gap_ev="8.614 / 6.812"
C -0.112 -0.344 -0.361
C -0.413 0.991 -0.489
N -3.376 -0.397 0.161
O -2.928 -1.121 0.922
O -4.231 -0.377 -0.611
S -1.953 1.605 -0.109
H 0.831 -0.756 -0.539
H -1.026 -1.007 -0.348
H 0.198 1.715 -1.033

* * * * *

{"formula": "C2H5NO", "method": "the ωB97M-V functional and the def2-TZVPD basis", "total_energy_ha": -209.12339, "homo_lumo_gap_ev": 10.7, "e_above_lowest_kcal_mol": 62.1, "e_homo_ev": -9.798, "smiles": "C=N.C=O", "largest_force_ha_per_bohr": 0.034, "species": ["C", "N", "H", "H", "H", "O", "C", "H", "H"], "coordinates": [[0.621, -0.517, -1.481], [0.316, -1.182, -0.447], [1.662, -0.201, -1.549], [-0.018, -0.452, -2.365], [-0.576, -1.666, -0.560], [-0.548, 0.292, 2.503], [-0.525, 1.033, 1.551], [-1.269, 1.841, 1.445], [0.337, 0.852, 0.903]], "nbo_charge": [-0.0595, -0.5887, 0.1668, 0.1505, 0.3349, -0.5007, 0.2464, 0.1145, 0.1358]}

***
*/
(Here the piece continues)
Post-traumatic stress disorder (PTSD) was removed as a qualifying condition. By contrast, the Oregon Legislature recently passed a bill that adds PTSD as a qualifying condition for the state’s medical marijuana law, and the governor is expected to sign it.
Finally, the Senate can’t have intended this, but confusing language was added to the “protections” section that would severely undermine the intent of the bill. It appears that patients would only be allowed to possess cannabis if they do not have a designated caregiver. Additionally, it appears that patients and caregivers would only be allowed to possess cannabis if they are at an alternative treatment center’s cultivation site. This language makes no sense and must be fixed or it does not appear the bill will be workable at all for patients (who will need to possess cannabis in their homes, etc.).
For these reasons, it is expected that the House will elect NOT to concur with the Senate’s amendments and will instead vote to form a “committee of conference” that will seek to reconcile differences between the House and Senate before sending the bill forward to the governor’s desk.
Patients are deeply saddened by Gov. Hassan’s insistence on these changes, but they remain hopeful that the bill can be improved before it moves forward to her desk to receive her signature.